-- Request --
Now set down only the last part of the material underneath, starting with the line that has "26.24, 3.396,".
-- Entries --
- - -
# 1
Structure and simulated powder diffractogram of Ce2TeRh (a DFT-relaxed cell (GGA-PBE, Alexandria); Cu Kα, 1.54184 Å).
Neutral-atom scattering factors, no anomalous dispersion.

The 10 most intense peaks (2θ = 15–90°), by angle:
Position (°2θ), d [Å], intensity
25.36, 3.512, 13
26.24, 3.396, 23
29.55, 3.023, 24
31.82, 2.812, 100
37.27, 2.413, 27
44.13, 2.052, 49
47.06, 1.931, 18
55.43, 1.658, 20
66.79, 1.401, 14
73.43, 1.289, 18

Atomic structure:
abc: 4.1040 4.1040 22.9986
angles: 90.00 90.00 120.00
Space group R3m (No. 160, hexagonal axes)
Asymmetric unit:
Ce1 0.0000 0.0000 0.0000 (multiplicity 3)
Ce2 0.0000 0.0000 0.1950 (multiplicity 3)
Te1 0.0000 0.0000 0.7644 (multiplicity 3)
Rh1 0.0000 0.0000 0.5957 (multiplicity 3)



# 2
Structure and simulated powder diffractogram of Ce3ThRh2 (a DFT-relaxed cell (GGA-PBE, Alexandria); Cu Kα, 1.54184 Å).
Neutral-atom scattering factors, no anomalous dispersion.

The 10 most intense peaks (2θ = 15–90°), by angle:
Position (°2θ), d [Å], intensity
29.13, 3.066, 43
33.05, 2.710, 100
33.39, 2.684, 52
33.55, 2.671, 49
34.18, 2.624, 24
35.20, 2.550, 40
37.10, 2.423, 77
40.67, 2.219, 58
41.60, 2.171, 22
53.60, 1.710, 29

Atomic structure:
abc: 16.355 4.437 8.704
angles: 90.00 117.96 90.00
Space group C2/m (No. 12)
Asymmetric unit:
Ce1 0.067 0.000 0.429 (multiplicity 4)
Ce2 0.125 0.500 0.689 (multiplicity 4)
Ce3 0.211 0.500 0.382 (multiplicity 4)
Th1 0.113 0.000 0.026 (multiplicity 4)
Rh1 0.020 0.500 0.184 (multiplicity 4)
Rh2 0.242 0.000 0.883 (multiplicity 4)



# 3
Structure and simulated powder diffractogram of Ce5TlRh6 (a DFT-relaxed cell (GGA-PBE, Alexandria); Cu Kα, 1.54184 Å).
Neutral-atom scattering factors, no anomalous dispersion.

The 10 most intense peaks (2θ = 15–90°), by angle:
Position (°2θ), d [Å], intensity
35.31, 2.542, 95
35.49, 2.529, 50
37.97, 2.370, 100
38.12, 2.361, 41
52.56, 1.741, 15
53.06, 1.726, 28
61.83, 1.500, 12
66.76, 1.401, 13
67.09, 1.395, 26
68.78, 1.365, 12

Atomic structure:
abc: 5.085 14.165 7.001
angles: 90.00 95.87 90.00
Space group C2/m (No. 12)
Asymmetric unit:
Ce1 0.000 0.000 0.000 (multiplicity 2)
Ce2 0.000 0.329 0.000 (multiplicity 4)
Ce3 0.000 0.348 0.500 (multiplicity 4)
Tl1 0.000 0.000 0.500 (multiplicity 2)
Rh1 0.029 0.179 0.729 (multiplicity 8)
Rh2 0.069 0.500 0.213 (multiplicity 4)



# 4
Structure and simulated powder diffractogram of Ce8TlRh6 (a DFT-relaxed cell (GGA-PBE, Alexandria); Cu Kα, 1.54184 Å).
Neutral-atom scattering factors, no anomalous dispersion.

The 10 most intense peaks (2θ = 15–90°), by angle:
Position (°2θ), d [Å], intensity
28.58, 3.123, 28
29.96, 2.982, 59
30.31, 2.949, 62
35.04, 2.561, 100
36.20, 2.482, 52
41.88, 2.157, 30
43.14, 2.097, 21
50.16, 1.819, 23
60.15, 1.538, 19
78.75, 1.215, 26

Atomic structure:
abc: 10.3316 10.3316 3.9211
angles: 90.00 90.00 120.00
Space group P-3 (No. 147)
Asymmetric unit:
Ce1 0.0526 0.7316 0.2264 (multiplicity 6)
Ce2 0.3333 0.6667 0.7406 (multiplicity 2)
Tl1 0.0000 0.0000 0.5000 (multiplicity 1)
Rh1 0.0948 0.4735 0.2597 (multiplicity 6)



# 5
Structure and simulated powder diffractogram of Ce7Tl2Rh2 (a DFT-relaxed cell (GGA-PBE, Alexandria); Cu Kα, 1.54184 Å).
Neutral-atom scattering factors, no anomalous dispersion.

The 10 most intense peaks (2θ = 15–90°), by angle:
Position (°2θ), d [Å], intensity
27.66, 3.225, 100
27.93, 3.194, 70
28.36, 3.147, 63
32.40, 2.763, 85
33.60, 2.667, 60
35.34, 2.540, 81
38.00, 2.368, 38
38.58, 2.334, 34
42.06, 2.148, 37
44.31, 2.044, 73

Atomic structure:
abc: 8.486 10.207 6.852
angles: 90.00 102.36 90.00
Space group C2/m (No. 12)
Asymmetric unit:
Ce1 0.000 0.000 0.000 (multiplicity 2)
Ce2 0.132 0.500 0.361 (multiplicity 4)
Ce3 0.215 0.226 0.181 (multiplicity 8)
Tl1 0.000 0.155 0.500 (multiplicity 4)
Rh1 0.156 0.500 0.961 (multiplicity 4)



# 6
Structure and simulated powder diffractogram of CeTmTlRh (a DFT-relaxed cell (GGA-PBE, Alexandria); Cu Kα, 1.54184 Å).
Neutral-atom scattering factors, no anomalous dispersion.
- - -
-- Completed --
26.24, 3.396, 23
29.55, 3.023, 24
31.82, 2.812, 100
37.27, 2.413, 27
44.13, 2.052, 49
47.06, 1.931, 18
55.43, 1.658, 20
66.79, 1.401, 14
73.43, 1.289, 18

Atomic structure:
abc: 4.1040 4.1040 22.9986
angles: 90.00 90.00 120.00
Space group R3m (No. 160, hexagonal axes)
Asymmetric unit:
Ce1 0.0000 0.0000 0.0000 (multiplicity 3)
Ce2 0.0000 0.0000 0.1950 (multiplicity 3)
Te1 0.0000 0.0000 0.7644 (multiplicity 3)
Rh1 0.0000 0.0000 0.5957 (multiplicity 3)



# 2
Structure and simulated powder diffractogram of Ce3ThRh2 (a DFT-relaxed cell (GGA-PBE, Alexandria); Cu Kα, 1.54184 Å).
Neutral-atom scattering factors, no anomalous dispersion.

The 10 most intense peaks (2θ = 15–90°), by angle:
Position (°2θ), d [Å], intensity
29.13, 3.066, 43
33.05, 2.710, 100
33.39, 2.684, 52
33.55, 2.671, 49
34.18, 2.624, 24
35.20, 2.550, 40
37.10, 2.423, 77
40.67, 2.219, 58
41.60, 2.171, 22
53.60, 1.710, 29

Atomic structure:
abc: 16.355 4.437 8.704
angles: 90.00 117.96 90.00
Space group C2/m (No. 12)
Asymmetric unit:
Ce1 0.067 0.000 0.429 (multiplicity 4)
Ce2 0.125 0.500 0.689 (multiplicity 4)
Ce3 0.211 0.500 0.382 (multiplicity 4)
Th1 0.113 0.000 0.026 (multiplicity 4)
Rh1 0.020 0.500 0.184 (multiplicity 4)
Rh2 0.242 0.000 0.883 (multiplicity 4)



# 3
Structure and simulated powder diffractogram of Ce5TlRh6 (a DFT-relaxed cell (GGA-PBE, Alexandria); Cu Kα, 1.54184 Å).
Neutral-atom scattering factors, no anomalous dispersion.

The 10 most intense peaks (2θ = 15–90°), by angle:
Position (°2θ), d [Å], intensity
35.31, 2.542, 95
35.49, 2.529, 50
37.97, 2.370, 100
38.12, 2.361, 41
52.56, 1.741, 15
53.06, 1.726, 28
61.83, 1.500, 12
66.76, 1.401, 13
67.09, 1.395, 26
68.78, 1.365, 12

Atomic structure:
abc: 5.085 14.165 7.001
angles: 90.00 95.87 90.00
Space group C2/m (No. 12)
Asymmetric unit:
Ce1 0.000 0.000 0.000 (multiplicity 2)
Ce2 0.000 0.329 0.000 (multiplicity 4)
Ce3 0.000 0.348 0.500 (multiplicity 4)
Tl1 0.000 0.000 0.500 (multiplicity 2)
Rh1 0.029 0.179 0.729 (multiplicity 8)
Rh2 0.069 0.500 0.213 (multiplicity 4)



# 4
Structure and simulated powder diffractogram of Ce8TlRh6 (a DFT-relaxed cell (GGA-PBE, Alexandria); Cu Kα, 1.54184 Å).
Neutral-atom scattering factors, no anomalous dispersion.

The 10 most intense peaks (2θ = 15–90°), by angle:
Position (°2θ), d [Å], intensity
28.58, 3.123, 28
29.96, 2.982, 59
30.31, 2.949, 62
35.04, 2.561, 100
36.20, 2.482, 52
41.88, 2.157, 30
43.14, 2.097, 21
50.16, 1.819, 23
60.15, 1.538, 19
78.75, 1.215, 26

Atomic structure:
abc: 10.3316 10.3316 3.9211
angles: 90.00 90.00 120.00
Space group P-3 (No. 147)
Asymmetric unit:
Ce1 0.0526 0.7316 0.2264 (multiplicity 6)
Ce2 0.3333 0.6667 0.7406 (multiplicity 2)
Tl1 0.0000 0.0000 0.5000 (multiplicity 1)
Rh1 0.0948 0.4735 0.2597 (multiplicity 6)



# 5
Structure and simulated powder diffractogram of Ce7Tl2Rh2 (a DFT-relaxed cell (GGA-PBE, Alexandria); Cu Kα, 1.54184 Å).
Neutral-atom scattering factors, no anomalous dispersion.

The 10 most intense peaks (2θ = 15–90°), by angle:
Position (°2θ), d [Å], intensity
27.66, 3.225, 100
27.93, 3.194, 70
28.36, 3.147, 63
32.40, 2.763, 85
33.60, 2.667, 60
35.34, 2.540, 81
38.00, 2.368, 38
38.58, 2.334, 34
42.06, 2.148, 37
44.31, 2.044, 73

Atomic structure:
abc: 8.486 10.207 6.852
angles: 90.00 102.36 90.00
Space group C2/m (No. 12)
Asymmetric unit:
Ce1 0.000 0.000 0.000 (multiplicity 2)
Ce2 0.132 0.500 0.361 (multiplicity 4)
Ce3 0.215 0.226 0.181 (multiplicity 8)
Tl1 0.000 0.155 0.500 (multiplicity 4)
Rh1 0.156 0.500 0.961 (multiplicity 4)



# 6
Structure and simulated powder diffractogram of CeTmTlRh (a DFT-relaxed cell (GGA-PBE, Alexandria); Cu Kα, 1.54184 Å).
Neutral-atom scattering factors, no anomalous dispersion.